## Data
'''
{
  "formula": "C40H92FIO13Si",
  "method": "the ωB97M-V functional and the def2-TZVPD basis",
  "e_lumo_ev": 0.3977,
  "smiles": "CCCCCCCCCC[Si@@](I)(CCCC)CC(=O)F.COCCOC.COCCOC.COCCOC.COCCOC.COCCOC.COCCOC",
  "e_tot_ha": -3244.21405,
  "largest_force_ev_per_a": 5.3,
  "spin_multiplicity": 1,
  "species": ["C", "C", "C", "C", "C", "C", "C", "C", "C", "C", "Si", "I", "C", "C", "C", "C", "C", "C", "O", "F", "H", "H", "H", "H", "H", "H", "H", "H", "H", "H", "H", "H", "H", "H", "H", "H", "H", "H", "H", "H", "H", "H", "H", "H", "H", "H", "H", "H", "H", "H", "H", "H", "C", "O", "C", "C", "O", "C", "H", "H", "H", "H", "H", "H", "H", "H", "H", "H", "C", "O", "C", "C", "O", "C", "H", "H", "H", "H", "H", "H", "H", "H", "H", "H", "C", "O", "C", "C", "O", "C", "H", "H", "H", "H", "H", "H", "H", "H", "H", "H", "C", "O", "C", "C", "O", "C", "H", "H", "H", "H", "H", "H", "H", "H", "H", "H", "C", "O", "C", "C", "O", "C", "H", "H", "H", "H", "H", "H", "H", "H", "H", "H", "C", "O", "C", "C", "O", "C", "H", "H", "H", "H", "H", "H", "H", "H", "H", "H"],
'''
## Brief
Next, work out how many lines further above have the word "C40H92FIO13Si" in them; a number is enough.
## Response
1